[What to do]
Filter the entries underneath: keep the lines with the word "atoms".

[Material]
- - -
The following is a PBE-GGA calculation of an optimized crystal structure of FeCuSe2, from the Materials Project database. Values from VASP.

Structure (Quantum ESPRESSO input):
```
&SYSTEM
  ibrav = 0, nat = 8, ntyp = 3
/
ATOMIC_SPECIES
Fe 55.84 Fe.upf
Cu 63.55 Cu.upf
Se 78.96 Se.upf
CELL_PARAMETERS angstrom
5.463 0.000 0.000
0.000 5.463 0.000
0.000 0.000 5.615
ATOMIC_POSITIONS crystal
Fe 0.000 0.500 0.000
Fe 0.500 0.000 0.000
Cu 0.000 0.000 0.000
Cu 0.000 0.000 0.500
Se 0.262 0.262 0.746
Se 0.262 0.738 0.254
Se 0.738 0.262 0.254
Se 0.738 0.738 0.746
```

Calculated values
The value obtained for the total energy is -5.0239 eV per atom. For the formation enthalpy at 0 K, the calculation gives -370 meV per atom. The value obtained for the density is 5.50 Mg/m³.

The following is a PBE-GGA calculation of an optimized crystal structure of FeCu2SiSe4, from the Materials Project database. Values from VASP.

Structure (Quantum ESPRESSO input):
```
&SYSTEM
  ibrav = 0, nat = 8, ntyp = 4
/
ATOMIC_SPECIES
Fe 55.84 Fe.upf
Cu 63.55 Cu.upf
Si 28.09 Si.upf
Se 78.96 Se.upf
CELL_PARAMETERS angstrom
-2.794 2.794 5.520
2.794 -2.794 5.520
2.794 2.794 -5.520
ATOMIC_POSITIONS crystal
Fe 0.000 0.000 0.000
Cu 0.250 0.750 0.500
Cu 0.750 0.250 0.500
Si 0.500 0.500 0.000
Se 0.134 0.134 0.515
Se 0.381 0.866 0.000
Se 0.619 0.619 0.485
Se 0.866 0.381 0.000
```

Calculated values
The value obtained for the total energy is -4.7583 eV per atom. For the formation enthalpy at 0 K, the calculation gives -485 meV per atom. The value obtained for the density is 5.08 Mg/m³.

The following is a PBE-GGA calculation of an optimized crystal structure of FeCu2SnSe4, from the Materials Project database. Values from VASP.

Structure (Quantum ESPRESSO input):
```
&SYSTEM
  ibrav = 0, nat = 8, ntyp = 4
/
ATOMIC_SPECIES
Fe 55.84 Fe.upf
Cu 63.55 Cu.upf
Sn 118.71 Sn.upf
Se 78.96 Se.upf
CELL_PARAMETERS angstrom
-2.884 2.884 5.665
2.884 -2.884 5.665
2.884 2.884 -5.665
ATOMIC_POSITIONS crystal
Fe 0.000 0.000 0.000
Cu 0.250 0.750 0.500
Cu 0.750 0.250 0.500
Sn 0.500 0.500 0.000
Se 0.096 0.096 0.460
Se 0.364 0.904 0.000
Se 0.636 0.636 0.540
Se 0.904 0.364 0.000
```

Calculated values
The value obtained for the total energy is -4.5823 eV per atom. For the formation enthalpy at 0 K, the calculation gives -486 meV per atom. The value obtained for the offset from the most stable computed form is 0.00 kJ/mol of atoms. The value obtained for the density is 5.44 Mg/m³.

The following is a PBE-GGA calculation of an optimized crystal structure of FeCu2SnSe4, from the Materials Project database. Values from VASP.

Structure (Quantum ESPRESSO input):
```
&SYSTEM
  ibrav = 0, nat = 8, ntyp = 4
/
ATOMIC_SPECIES
Fe 55.84 Fe.upf
Cu 63.55 Cu.upf
Sn 118.71 Sn.upf
Se 78.96 Se.upf
CELL_PARAMETERS angstrom
1.989 1.149 14.166
-1.989 1.149 14.166
0.000 -2.297 14.166
ATOMIC_POSITIONS crystal
Fe 0.000 0.000 0.000
Cu 0.262 0.262 0.262
Cu 0.525 0.525 0.525
Sn 0.763 0.763 0.763
Se 0.206 0.206 0.206
Se 0.466 0.466 0.466
Se 0.684 0.684 0.684
Se 0.946 0.946 0.946
```

Calculated values
The value obtained for the total energy is -4.4892 eV per atom. For the formation enthalpy at 0 K, the calculation gives -393 meV per atom. The value obtained for the offset from the most stable computed form is 8.98 kJ/mol of atoms. The value obtained for the density is 5.28 Mg/m³.

The following is a PBE-GGA calculation of an optimized crystal structure of Zn4FeCu10Sn5Se20, from the Materials Project database. Values from VASP.

Structure (Quantum ESPRESSO input):
```
&SYSTEM
  ibrav = 0, nat = 40, ntyp = 5
/
ATOMIC_SPECIES
Zn 65.41 Zn.upf
Fe 55.84 Fe.upf
Cu 63.55 Cu.upf
Sn 118.71 Sn.upf
Se 78.96 Se.upf
CELL_PARAMETERS angstrom
10.387 -2.875 0.000
10.387 2.875 0.000
-3.208 0.000 16.044
ATOMIC_POSITIONS crystal
Zn 0.100 0.100 0.400
Zn 0.300 0.300 0.200
Zn 0.700 0.700 0.800
Zn 0.900 0.900 0.600
Fe 0.500 0.500 0.000
Cu 0.100 0.100 0.150
Cu 0.100 0.100 0.650
Cu 0.300 0.300 0.450
Cu 0.300 0.301 0.950
Cu 0.500 0.500 0.250
- - -

[Done]
The value obtained for the total energy is -4.5823 eV per atom. For the formation enthalpy at 0 K, the calculation gives -486 meV per atom. The value obtained for the offset from the most stable computed form is 0.00 kJ/mol of atoms. The value obtained for the density is 5.44 Mg/m³.
The value obtained for the total energy is -4.4892 eV per atom. For the formation enthalpy at 0 K, the calculation gives -393 meV per atom. The value obtained for the offset from the most stable computed form is 8.98 kJ/mol of atoms. The value obtained for the density is 5.28 Mg/m³.